/*
(1)
CaSbAs2SeO7 | PBE-GGA | relaxed

a = 17.0539 Å, b = 17.0539 Å, c = 11.0423 Å
α = 90.00°, β = 90.00°, γ = 90.00°
Space group I4_1/a (No. 88, origin choice 2)
Symmetry-distinct sites (fractional):
Ca (0.1483, 0.0620, 0.4692) (multiplicity 16)
Sb (0.1734, 0.0607, 0.9722) (multiplicity 16)
As (0.0470, 0.3843, 0.9869) (multiplicity 16)
As (0.0667, 0.3506, 0.5478) (multiplicity 16)
Se (0.0140, 0.4994, 0.2412) (multiplicity 16)
O (0.0420, 0.1543, 0.5658) (multiplicity 16)
O (0.0665, 0.4690, 0.8901) (multiplicity 16)
O (0.0749, 0.4397, 0.1386) (multiplicity 16)
O (0.0911, 0.4400, 0.6164) (multiplicity 16)
O (0.0945, 0.1114, 0.2854) (multiplicity 16)
O (0.1035, 0.4960, 0.3447) (multiplicity 16)
O (0.2372, 0.4962, 0.1551) (multiplicity 16)

- E_tot (eV per formula unit) = -70.03
- energy of formation (eV per atom) = -1.77
- magnetization (μB per formula unit) = 1.00


(2)
K3RhCl6 | PBE-GGA | relaxed

a = 12.7353 Å, b = 7.5682 Å, c = 12.1416 Å
α = 90.00°, β = 108.32°, γ = 90.00°
Space group P2_1/c (No. 14)
Symmetry-distinct sites (fractional):
K (0.0989, 0.0325, 0.3595) (multiplicity 4)
K (0.3178, 0.5700, 0.2659) (multiplicity 4)
K (0.3191, 0.0646, 0.1127) (multiplicity 4)
Rh (0.0000, 0.0000, 0.0000) (multiplicity 2)
Rh (0.5000, 0.0000, 0.5000) (multiplicity 2)
Cl (0.0937, 0.2444, 0.5995) (multiplicity 4)
Cl (0.1155, 0.0012, 0.8798) (multiplicity 4)
Cl (0.1230, 0.6879, 0.6376) (multiplicity 4)
Cl (0.3532, 0.6916, 0.0047) (multiplicity 4)
Cl (0.3610, 0.2049, 0.3983) (multiplicity 4)
Cl (0.4995, 0.1290, 0.6784) (multiplicity 4)

- E_tot (eV per formula unit) = -36.16
- energy of formation (eV per atom) = -1.81

~~~~~

# LiCo3NiO8 (PBE with a Hubbard U, optimized geometry)
# - VASP energy: -5.506 eV per atom
# - Total magnetic moment: 3.0 μB per formula unit
# - Calculated density: 4.359 Mg/m³
# - E_form: -1225.1 meV per atom
data_LiCo3NiO8
_chemical_formula_sum 'Li2 Co6 Ni2 O16'
_cell_length_a 5.6854
_cell_length_b 6.0135
_cell_length_c 9.8702
_cell_angle_alpha 73.67
_cell_angle_beta 89.64
_cell_angle_gamma 61.82
_symmetry_space_group_name_H-M 'P 1'
_symmetry_Int_Tables_number 1
_symmetry_space_group_name_Hall 'P 1'
loop_
_atom_site_label
_atom_site_fract_x
_atom_site_fract_y
_atom_site_fract_z
Li1 0.0000 0.0000 0.0000
Li2 0.4900 0.0062 0.4960
Co1 0.0027 0.5062 0.4976
Co2 0.2447 0.5022 0.2481
Co3 0.4873 0.4994 0.9983
Co4 0.4992 0.5131 0.4966
Co5 0.7452 0.5033 0.7478
Co6 0.9908 0.4922 0.9994
Ni1 0.2451 0.5033 0.7479
Ni2 0.7449 0.5018 0.2482
O1 0.0719 0.2954 0.8734
O2 0.1169 0.3047 0.3725
O3 0.1414 0.6888 0.8880
O4 0.1525 0.6977 0.3816
O5 0.3373 0.3072 0.1142
O6 0.3488 0.3174 0.6080
O7 0.3726 0.6997 0.1240
O8 0.4187 0.7109 0.6221
O9 0.5843 0.3170 0.3654
O10 0.5911 0.3122 0.8620
O11 0.6460 0.6872 0.8847
O12 0.6569 0.6995 0.3859
O13 0.8329 0.3050 0.1098
O14 0.8446 0.3188 0.6113
O15 0.8992 0.6945 0.6334
O16 0.9049 0.6872 0.1311

---

# Li2Co3NiO8 (PBE with a Hubbard U, optimized geometry)
# - VASP energy: -5.481 eV per atom
# - Total magnetic moment: 5.9 μB per formula unit
# - Calculated density: 4.782 Mg/m³
# - E_form: -1370.4 meV per atom
data_Li2Co3NiO8
_chemical_formula_sum 'Li6 Co9 Ni3 O24'
_cell_length_a 5.6917
_cell_length_b 5.6917
_cell_length_c 14.0133
_cell_angle_alpha 90.00
_cell_angle_beta 90.00
_cell_angle_gamma 120.00
_symmetry_space_group_name_H-M 'R 3 m'
_symmetry_Int_Tables_number 160
_symmetry_space_group_name_Hall 'R 3 -2"'
loop_
_atom_site_label
_atom_site_fract_x
_atom_site_fract_y
_atom_site_fract_z
Li1 0.0000 0.0000 0.0000
Li2 0.0000 0.0000 0.3743
Co1 0.0075 0.5037 0.8791
Ni1 0.0000 0.0000 0.7575
O1 0.0000 0.0000 0.1402
O2 0.0000 0.0000 0.6189
O3 0.0252 0.5126 0.1349
O4 0.1769 0.3538 0.9445

---

# Li3CoNi3O8 (PBE with a Hubbard U, optimized geometry)
# - VASP energy: -4.890 eV per atom
# - Total magnetic moment: 8.0 μB per formula unit
# - Calculated density: 4.961 Mg/m³
# - E_form: -1222.9 meV per atom
data_Li3CoNi3O8
_chemical_formula_sum 'Li12 Co4 Ni12 O32'
_cell_length_a 5.6831
_cell_length_b 9.8442
*/
The reader should copy the lines further up up to the one that holds "0.5062 0.4976", that line included.
(1)
CaSbAs2SeO7 | PBE-GGA | relaxed

a = 17.0539 Å, b = 17.0539 Å, c = 11.0423 Å
α = 90.00°, β = 90.00°, γ = 90.00°
Space group I4_1/a (No. 88, origin choice 2)
Symmetry-distinct sites (fractional):
Ca (0.1483, 0.0620, 0.4692) (multiplicity 16)
Sb (0.1734, 0.0607, 0.9722) (multiplicity 16)
As (0.0470, 0.3843, 0.9869) (multiplicity 16)
As (0.0667, 0.3506, 0.5478) (multiplicity 16)
Se (0.0140, 0.4994, 0.2412) (multiplicity 16)
O (0.0420, 0.1543, 0.5658) (multiplicity 16)
O (0.0665, 0.4690, 0.8901) (multiplicity 16)
O (0.0749, 0.4397, 0.1386) (multiplicity 16)
O (0.0911, 0.4400, 0.6164) (multiplicity 16)
O (0.0945, 0.1114, 0.2854) (multiplicity 16)
O (0.1035, 0.4960, 0.3447) (multiplicity 16)
O (0.2372, 0.4962, 0.1551) (multiplicity 16)

- E_tot (eV per formula unit) = -70.03
- energy of formation (eV per atom) = -1.77
- magnetization (μB per formula unit) = 1.00


(2)
K3RhCl6 | PBE-GGA | relaxed

a = 12.7353 Å, b = 7.5682 Å, c = 12.1416 Å
α = 90.00°, β = 108.32°, γ = 90.00°
Space group P2_1/c (No. 14)
Symmetry-distinct sites (fractional):
K (0.0989, 0.0325, 0.3595) (multiplicity 4)
K (0.3178, 0.5700, 0.2659) (multiplicity 4)
K (0.3191, 0.0646, 0.1127) (multiplicity 4)
Rh (0.0000, 0.0000, 0.0000) (multiplicity 2)
Rh (0.5000, 0.0000, 0.5000) (multiplicity 2)
Cl (0.0937, 0.2444, 0.5995) (multiplicity 4)
Cl (0.1155, 0.0012, 0.8798) (multiplicity 4)
Cl (0.1230, 0.6879, 0.6376) (multiplicity 4)
Cl (0.3532, 0.6916, 0.0047) (multiplicity 4)
Cl (0.3610, 0.2049, 0.3983) (multiplicity 4)
Cl (0.4995, 0.1290, 0.6784) (multiplicity 4)

- E_tot (eV per formula unit) = -36.16
- energy of formation (eV per atom) = -1.81

~~~~~

# LiCo3NiO8 (PBE with a Hubbard U, optimized geometry)
# - VASP energy: -5.506 eV per atom
# - Total magnetic moment: 3.0 μB per formula unit
# - Calculated density: 4.359 Mg/m³
# - E_form: -1225.1 meV per atom
data_LiCo3NiO8
_chemical_formula_sum 'Li2 Co6 Ni2 O16'
_cell_length_a 5.6854
_cell_length_b 6.0135
_cell_length_c 9.8702
_cell_angle_alpha 73.67
_cell_angle_beta 89.64
_cell_angle_gamma 61.82
_symmetry_space_group_name_H-M 'P 1'
_symmetry_Int_Tables_number 1
_symmetry_space_group_name_Hall 'P 1'
loop_
_atom_site_label
_atom_site_fract_x
_atom_site_fract_y
_atom_site_fract_z
Li1 0.0000 0.0000 0.0000
Li2 0.4900 0.0062 0.4960
Co1 0.0027 0.5062 0.4976